Listing:
Entry 1:
FeSi5: relaxed, PBE.

a = 2.703 Å, b = 2.703 Å, c = 10.789 Å
α = 90.00°, β = 90.00°, γ = 90.00°
Fractional coordinates of all 6 atoms:
Fe  0.000  0.000  0.000
Si  0.000  0.000  0.315
Si  0.000  0.000  0.685
Si  0.500  0.500  0.133
Si  0.500  0.500  0.500
Si  0.500  0.500  0.867

Computed properties:
**V**: 13.137 Å³/atom
**Raw formation energy**: 201 meV per atom
**Symmetry**: P4/mmm (123)
**Distance to the lowest polymorph of the same formula**: 0.003 eV/atom
**Total moment**: 0.0 Bohr magnetons per cell

Entry 2:
Th4Os: relaxed, PBE.

a = 7.797 Å, b = 7.797 Å, c = 7.797 Å
α = 60.00°, β = 60.00°, γ = 60.00°
Fractional coordinates of all 10 atoms:
Th  0.210  0.763  0.763
Th  0.237  0.237  0.237
Th  0.237  0.237  0.790
Th  0.237  0.790  0.237
Th  0.763  0.210  0.763
Th  0.763  0.763  0.210
Th  0.763  0.763  0.763
Th  0.790  0.237  0.237
Os  0.375  0.375  0.375
Os  0.625  0.625  0.625

Computed properties:
**V**: 33.514 Å³/atom
**E_form**: 0.38 eV/atom
**Symmetry**: Fd-3m (227)
**Distance to the lowest polymorph of the same formula**: 0.450 eV/atom
**Total moment**: 0.0 Bohr magnetons per cell

Entry 3:
BeSn2Ge2: relaxed, PBE.

a = 6.100 Å, b = 6.100 Å, c = 5.774 Å
α = 90.00°, β = 90.00°, γ = 90.00°
Fractional coordinates of all 10 atoms:
Be  0.000  0.000  0.000
Be  0.500  0.500  0.000
Sn  0.198  0.302  0.500
Sn  0.302  0.802  0.500
Sn  0.698  0.198  0.500
Sn  0.802  0.698  0.500
Ge  0.148  0.352  0.000
Ge  0.352  0.852  0.000
Ge  0.648  0.148  0.000
Ge  0.852  0.648  0.000

Computed properties:
**V**: 21.483 Å³/atom
**E_form**: 0.24 eV/atom
**Symmetry**: P4/mbm (127)
**Distance to the lowest polymorph of the same formula**: 0.000 eV/atom
**Total moment**: 0.0 Bohr magnetons per cell

Entry 4:
SbOs2Br: relaxed, PBE.

a = 6.860 Å, b = 6.860 Å, c = 6.860 Å
α = 155.23°, β = 143.85°, γ = 44.32°
Fractional coordinates of all 4 atoms:
Sb  0.000  0.000  0.000
Os  0.588  0.588  0.000
Os  0.755  0.255  0.500
Br  0.292  0.792  0.500

Computed properties:
**V**: 19.899 Å³/atom
**Raw formation energy**: 975 meV per atom
**Symmetry**: Imm2 (44)
**Distance to the lowest polymorph of the same formula**: 0.549 eV/atom
**Total moment**: 0.0 Bohr magnetons per cell

Entry 5:
SrSbPb2: relaxed, PBE.

a = 5.004 Å, b = 4.328 Å, c = 6.786 Å
α = 90.00°, β = 110.24°, γ = 90.00°
Fractional coordinates of all 4 atoms:
Sr  0.000  0.000  0.000
Sb  0.535  0.500  0.088
Pb  0.360  0.500  0.597
Pb  0.785  0.000  0.451

Computed properties:
**V**: 34.470 Å³/atom
**Raw formation energy**: -388 meV per atom
**Symmetry**: Pm (6)
**Total moment**: 0.0 Bohr magnetons per cell

Entry 6:
ReHg2Te: relaxed, PBE.

a = 3.328 Å, b = 5.638 Å, c = 4.644 Å
α = 90.00°, β = 91.20°, γ = 90.00°
Fractional coordinates of all 4 atoms:
Re  0.000  0.000  0.000
Hg  0.239  0.500  0.245
Hg  0.761  0.500  0.755
Te  0.500  0.000  0.500

Computed properties:
**V**: 21.780 Å³/atom
**Raw formation energy**: 897 meV per atom
**Symmetry**: P2/m (10)
**Distance to the lowest polymorph of the same formula**: 0.492 eV/atom
**Total moment**: 1.1 Bohr magnetons per cell

Entry 7:
LiZrBr: relaxed, PBE.

a = 3.440 Å, b = 3.440 Å, c = 12.914 Å
α = 92.76°, β = 92.76°, γ = 61.37°
Fractional coordinates of all 6 atoms:
Li  0.184  0.184  0.095
Li  0.816  0.816  0.905
Zr  0.221  0.221  0.405
Zr  0.779  0.779  0.595
Br  0.467  0.467  0.754
Br  0.533  0.533  0.246

Computed properties:
**V**: 22.315 Å³/atom
**Raw formation energy**: -594 meV per atom
**Symmetry**: C2/m (12)
**Distance to the lowest polymorph of the same formula**: 0.151 eV/atom
**Total moment**: 0.0 Bohr magnetons per cell

Entry 8:
KNbF2: relaxed, PBE.

a = 8.384 Å, b = 8.384 Å, c = 8.384 Å
α = 21.23°, β = 21.23°, γ = 21.23°
Fractional coordinates of all 4 atoms:
K  0.000  0.000  0.000
Nb  0.500  0.500  0.500
F  0.102  0.102  0.102
F  0.898  0.898  0.898

Computed properties:
**V**: 16.928 Å³/atom
**Raw formation energy**: -1272 meV per atom
**Symmetry**: R-3m (166)

What to do:
What is needed: start at the top of the entries further above and print each line, ending with the one that has "formula**: 0.549".

Reply:
Entry 1:
FeSi5: relaxed, PBE.

a = 2.703 Å, b = 2.703 Å, c = 10.789 Å
α = 90.00°, β = 90.00°, γ = 90.00°
Fractional coordinates of all 6 atoms:
Fe  0.000  0.000  0.000
Si  0.000  0.000  0.315
Si  0.000  0.000  0.685
Si  0.500  0.500  0.133
Si  0.500  0.500  0.500
Si  0.500  0.500  0.867

Computed properties:
**V**: 13.137 Å³/atom
**Raw formation energy**: 201 meV per atom
**Symmetry**: P4/mmm (123)
**Distance to the lowest polymorph of the same formula**: 0.003 eV/atom
**Total moment**: 0.0 Bohr magnetons per cell

Entry 2:
Th4Os: relaxed, PBE.

a = 7.797 Å, b = 7.797 Å, c = 7.797 Å
α = 60.00°, β = 60.00°, γ = 60.00°
Fractional coordinates of all 10 atoms:
Th  0.210  0.763  0.763
Th  0.237  0.237  0.237
Th  0.237  0.237  0.790
Th  0.237  0.790  0.237
Th  0.763  0.210  0.763
Th  0.763  0.763  0.210
Th  0.763  0.763  0.763
Th  0.790  0.237  0.237
Os  0.375  0.375  0.375
Os  0.625  0.625  0.625

Computed properties:
**V**: 33.514 Å³/atom
**E_form**: 0.38 eV/atom
**Symmetry**: Fd-3m (227)
**Distance to the lowest polymorph of the same formula**: 0.450 eV/atom
**Total moment**: 0.0 Bohr magnetons per cell

Entry 3:
BeSn2Ge2: relaxed, PBE.

a = 6.100 Å, b = 6.100 Å, c = 5.774 Å
α = 90.00°, β = 90.00°, γ = 90.00°
Fractional coordinates of all 10 atoms:
Be  0.000  0.000  0.000
Be  0.500  0.500  0.000
Sn  0.198  0.302  0.500
Sn  0.302  0.802  0.500
Sn  0.698  0.198  0.500
Sn  0.802  0.698  0.500
Ge  0.148  0.352  0.000
Ge  0.352  0.852  0.000
Ge  0.648  0.148  0.000
Ge  0.852  0.648  0.000

Computed properties:
**V**: 21.483 Å³/atom
**E_form**: 0.24 eV/atom
**Symmetry**: P4/mbm (127)
**Distance to the lowest polymorph of the same formula**: 0.000 eV/atom
**Total moment**: 0.0 Bohr magnetons per cell

Entry 4:
SbOs2Br: relaxed, PBE.

a = 6.860 Å, b = 6.860 Å, c = 6.860 Å
α = 155.23°, β = 143.85°, γ = 44.32°
Fractional coordinates of all 4 atoms:
Sb  0.000  0.000  0.000
Os  0.588  0.588  0.000
Os  0.755  0.255  0.500
Br  0.292  0.792  0.500

Computed properties:
**V**: 19.899 Å³/atom
**Raw formation energy**: 975 meV per atom
**Symmetry**: Imm2 (44)
**Distance to the lowest polymorph of the same formula**: 0.549 eV/atom